Below is 10 unconnected molecules or ions with the total composition C23H68NO10S9, with properties calculated with wB97M-V/def2-TZVPD.

Largest force on an atom ... 11.173 eV/Å
Frontier orbital gap ... 8.3 eV
E_HOMO ... -9.88 eV
Energy relative to the best compared isomer or geometry (same formula, charge and spin) ... 3.849 eV
Net charge ... +1

Structure (XYZ):
```
111
Properties=species:S:1:pos:R:3:forces:R:3
C 0.008838 1.310036 -0.471450 5.3 2.0 0.9
N 0.617838 0.254036 0.306550 2.0 -1.5 0.5
C 2.038838 0.620036 0.772550 3.7 -0.4 -0.6
C -0.121162 -0.029964 1.495550 4.3 1.1 6.6
C 0.668838 -1.036964 -0.502450 0.6 -0.5 -1.8
C -0.639162 -1.432964 -1.251450 1.1 -4.2 8.3
O -0.440162 -2.673964 -1.839450 4.1 -0.7 2.8
H 0.658838 1.420036 -1.309450 -0.2 0.2 -1.1
H 0.141838 2.200036 0.098550 0.2 1.0 0.5
H -0.959162 1.266036 -0.594450 -5.1 -1.2 -1.1
H 2.247838 1.712036 0.888550 -1.2 -0.7 -0.2
H 2.819838 0.298036 -0.053450 -1.8 0.3 1.5
H 2.475838 0.173036 1.792550 -1.9 0.4 -2.3
H 0.169838 -0.947964 2.190550 0.5 1.8 -1.9
H -1.033162 -0.239964 1.380550 -7.4 -1.5 -2.2
H -0.259162 0.847036 2.271550 1.1 -1.2 -1.8
H 1.005838 -1.704964 0.273550 -0.1 -1.0 -0.3
H 1.349838 -1.113964 -1.401450 0.3 1.1 1.4
H -0.798162 -0.831964 -1.992450 -1.9 4.5 -3.5
H -1.358162 -1.682964 -0.381450 0.0 1.6 -1.7
H -1.089162 -2.641964 -2.451450 -3.3 -1.0 -3.8
C -2.598162 -5.357964 -2.962450 1.2 4.9 4.2
S -2.912162 -4.156964 -4.231450 -0.4 0.4 -0.9
O -2.195162 -2.948964 -3.713450 -0.6 0.7 -0.1
C -1.782162 -4.684964 -5.521450 3.0 -1.1 2.5
H -1.540162 -4.949964 -2.623450 -1.8 -1.1 -0.5
H -2.464162 -6.336964 -3.250450 -0.6 -2.3 -0.3
H -3.303162 -4.961964 -1.955450 1.8 -1.9 -3.2
H -1.951162 -5.729964 -5.861450 0.3 0.7 0.3
H -0.702162 -4.440964 -4.995450 -2.4 -1.4 -1.0
H -1.669162 -4.022964 -6.323450 -0.9 1.1 -1.3
C 3.416838 4.366036 1.777550 -1.8 3.8 5.7
S 2.582838 3.927036 3.313550 0.3 -3.7 -0.7
O 1.270838 3.329036 2.875550 0.4 0.7 0.4
C 3.695838 2.439036 3.521550 1.1 0.9 0.7
H 3.213838 3.868036 0.987550 -0.9 -4.5 -5.0
H 4.387838 4.643036 2.008550 1.8 0.9 0.0
H 2.671838 5.135036 1.714550 0.6 1.9 -1.1
H 3.884838 1.974036 2.531550 -0.7 0.1 0.7
H 3.379838 1.746036 4.327550 0.0 0.4 -0.7
H 4.687838 2.891036 3.803550 -0.8 -0.5 0.0
C 0.057838 -0.665964 -4.919450 2.0 1.3 10.9
S 1.757838 -0.905964 -5.135450 2.6 -0.5 0.3
O 2.469838 -0.833964 -3.787450 -1.2 -0.2 -1.2
C 1.888838 -2.690964 -5.670450 -2.7 1.8 -3.3
H -0.150162 0.441036 -4.833450 0.6 -1.0 0.8
H -0.461162 -1.360964 -3.982450 1.7 2.2 -2.7
H -0.429162 -0.840964 -5.666450 -5.3 -2.8 -8.9
H 1.245838 -3.280964 -5.139450 -1.4 -1.4 2.3
H 2.870838 -2.981964 -5.530450 2.0 -0.4 -0.1
H 1.412838 -2.930964 -6.741450 1.7 1.2 1.8
C -4.855162 -0.638964 4.562550 -0.8 2.2 0.8
S -3.702162 -0.628964 3.202550 -1.3 -2.1 -1.2
O -2.694162 0.400036 3.423550 1.0 1.0 0.8
C -2.989162 -2.248964 3.630550 0.3 -1.7 -1.5
H -4.241162 -0.909964 5.383550 0.5 0.4 1.3
H -5.675162 -1.328964 4.626550 -0.3 -0.7 -1.0
H -5.340162 0.394036 4.685550 1.1 -1.4 -0.2
H -3.778162 -3.078964 3.515550 1.1 1.3 -0.5
H -2.619162 -2.468964 4.613550 0.0 0.9 1.0
H -2.062162 -2.408964 2.973550 -1.6 0.1 0.5
C -4.567162 3.312036 2.060550 -1.1 0.6 0.7
S -2.845162 3.006036 1.634550 -0.1 0.9 -0.9
O -2.559162 4.041036 0.571550 0.1 -0.5 0.4
C -2.012162 3.531036 3.118550 -2.6 1.2 -0.3
H -5.084162 2.988036 1.059550 0.5 0.9 2.2
H -4.758162 4.480036 2.396550 0.5 -3.1 -1.2
H -4.828162 2.611036 2.945550 0.2 1.1 -1.5
H -1.980162 2.710036 3.745550 0.2 -1.6 1.5
H -2.446162 4.411036 3.587550 -0.5 -0.1 0.0
H -1.102162 3.845036 2.793550 3.0 0.4 -0.9
C 6.653838 0.191036 2.536550 1.3 3.4 1.7
S 6.654838 -0.582964 0.914550 -3.1 1.3 0.1
O 5.320838 -1.289964 0.853550 1.1 -0.3 0.0
C 6.252838 1.007036 0.041550 6.4 -1.7 -3.7

Your job: set down the lines further up up to the one that holds "-1.6 1.5", that line included.

Below is 10 unconnected molecules or ions with the total composition C23H68NO10S9, with properties calculated with wB97M-V/def2-TZVPD.

Largest force on an atom ... 11.173 eV/Å
Frontier orbital gap ... 8.3 eV
E_HOMO ... -9.88 eV
Energy relative to the best compared isomer or geometry (same formula, charge and spin) ... 3.849 eV
Net charge ... +1

Structure (XYZ):
```
111
Properties=species:S:1:pos:R:3:forces:R:3
C 0.008838 1.310036 -0.471450 5.3 2.0 0.9
N 0.617838 0.254036 0.306550 2.0 -1.5 0.5
C 2.038838 0.620036 0.772550 3.7 -0.4 -0.6
C -0.121162 -0.029964 1.495550 4.3 1.1 6.6
C 0.668838 -1.036964 -0.502450 0.6 -0.5 -1.8
C -0.639162 -1.432964 -1.251450 1.1 -4.2 8.3
O -0.440162 -2.673964 -1.839450 4.1 -0.7 2.8
H 0.658838 1.420036 -1.309450 -0.2 0.2 -1.1
H 0.141838 2.200036 0.098550 0.2 1.0 0.5
H -0.959162 1.266036 -0.594450 -5.1 -1.2 -1.1
H 2.247838 1.712036 0.888550 -1.2 -0.7 -0.2
H 2.819838 0.298036 -0.053450 -1.8 0.3 1.5
H 2.475838 0.173036 1.792550 -1.9 0.4 -2.3
H 0.169838 -0.947964 2.190550 0.5 1.8 -1.9
H -1.033162 -0.239964 1.380550 -7.4 -1.5 -2.2
H -0.259162 0.847036 2.271550 1.1 -1.2 -1.8
H 1.005838 -1.704964 0.273550 -0.1 -1.0 -0.3
H 1.349838 -1.113964 -1.401450 0.3 1.1 1.4
H -0.798162 -0.831964 -1.992450 -1.9 4.5 -3.5
H -1.358162 -1.682964 -0.381450 0.0 1.6 -1.7
H -1.089162 -2.641964 -2.451450 -3.3 -1.0 -3.8
C -2.598162 -5.357964 -2.962450 1.2 4.9 4.2
S -2.912162 -4.156964 -4.231450 -0.4 0.4 -0.9
O -2.195162 -2.948964 -3.713450 -0.6 0.7 -0.1
C -1.782162 -4.684964 -5.521450 3.0 -1.1 2.5
H -1.540162 -4.949964 -2.623450 -1.8 -1.1 -0.5
H -2.464162 -6.336964 -3.250450 -0.6 -2.3 -0.3
H -3.303162 -4.961964 -1.955450 1.8 -1.9 -3.2
H -1.951162 -5.729964 -5.861450 0.3 0.7 0.3
H -0.702162 -4.440964 -4.995450 -2.4 -1.4 -1.0
H -1.669162 -4.022964 -6.323450 -0.9 1.1 -1.3
C 3.416838 4.366036 1.777550 -1.8 3.8 5.7
S 2.582838 3.927036 3.313550 0.3 -3.7 -0.7
O 1.270838 3.329036 2.875550 0.4 0.7 0.4
C 3.695838 2.439036 3.521550 1.1 0.9 0.7
H 3.213838 3.868036 0.987550 -0.9 -4.5 -5.0
H 4.387838 4.643036 2.008550 1.8 0.9 0.0
H 2.671838 5.135036 1.714550 0.6 1.9 -1.1
H 3.884838 1.974036 2.531550 -0.7 0.1 0.7
H 3.379838 1.746036 4.327550 0.0 0.4 -0.7
H 4.687838 2.891036 3.803550 -0.8 -0.5 0.0
C 0.057838 -0.665964 -4.919450 2.0 1.3 10.9
S 1.757838 -0.905964 -5.135450 2.6 -0.5 0.3
O 2.469838 -0.833964 -3.787450 -1.2 -0.2 -1.2
C 1.888838 -2.690964 -5.670450 -2.7 1.8 -3.3
H -0.150162 0.441036 -4.833450 0.6 -1.0 0.8
H -0.461162 -1.360964 -3.982450 1.7 2.2 -2.7
H -0.429162 -0.840964 -5.666450 -5.3 -2.8 -8.9
H 1.245838 -3.280964 -5.139450 -1.4 -1.4 2.3
H 2.870838 -2.981964 -5.530450 2.0 -0.4 -0.1
H 1.412838 -2.930964 -6.741450 1.7 1.2 1.8
C -4.855162 -0.638964 4.562550 -0.8 2.2 0.8
S -3.702162 -0.628964 3.202550 -1.3 -2.1 -1.2
O -2.694162 0.400036 3.423550 1.0 1.0 0.8
C -2.989162 -2.248964 3.630550 0.3 -1.7 -1.5
H -4.241162 -0.909964 5.383550 0.5 0.4 1.3
H -5.675162 -1.328964 4.626550 -0.3 -0.7 -1.0
H -5.340162 0.394036 4.685550 1.1 -1.4 -0.2
H -3.778162 -3.078964 3.515550 1.1 1.3 -0.5
H -2.619162 -2.468964 4.613550 0.0 0.9 1.0
H -2.062162 -2.408964 2.973550 -1.6 0.1 0.5
C -4.567162 3.312036 2.060550 -1.1 0.6 0.7
S -2.845162 3.006036 1.634550 -0.1 0.9 -0.9
O -2.559162 4.041036 0.571550 0.1 -0.5 0.4
C -2.012162 3.531036 3.118550 -2.6 1.2 -0.3
H -5.084162 2.988036 1.059550 0.5 0.9 2.2
H -4.758162 4.480036 2.396550 0.5 -3.1 -1.2
H -4.828162 2.611036 2.945550 0.2 1.1 -1.5
H -1.980162 2.710036 3.745550 0.2 -1.6 1.5